From Bushwick basements to opening slots for Blur and Interpol, Namesake (fka Honduras) has remained a fixture in Brooklyn’s DIY community. Their propulsive, dreamy punk sound has been featured in Tony Hawk’s skate videos and games as well as on the airwaves of Sirius XMU. Namesake has toured with pals Sunflower Bean and L.A. WITCH, and performed at festivals such as Philadelphia’s Made In America. Taking inspiration from NYC’s storied past, the band directs all of their own videos and its members all reside in Brooklyn, NY.
What do you want your music to communicate?
The necessity of individuality, embracing the things we fear about ourselves, the human spirit beneath the noise of modern life.
Who is an artist that you look up to more than others today?
I really admire Bradford Cox of the bands Deerhunter, Atlas Sound. The music he’s made has served as the backdrop of the “coming of age” years of my life, and I’m grateful to have discovered things about myself
What’s the record or artist that made you realize you wanted to be an artist?
I really admired Tupac Shakur as a young kid; I was really captivated by his words and his image. When I was 16 a friend died in a car crash, it was a level of tragedy I hadn’t known before. During that time I listened to the album “Something to Write Home About” by the Get Up Kids quite a bit. That experience affected me in a deep way. My friend’s name was Adam Popejoy, and I couldn’t understand how a young, beautiful person like that could just be taken away. I joined a band with a couple friends shortly after that. Near the end of high school, I watched the documentary No Direction Home for the first time and became obsessed with Bob Dylan. Through his story it kind of led me to New York; and being in New York led me to Richard Hell, Jim Carroll, and an appreciation for some of the early punks.

Stylist: Amber Simiriglia
Tell us about your latest release and how it came about
Our album Redeeming Features is out October 15thand is being put out through Get Better Records. During the pandemic we developed a relationship with Alex Lichtenauer from the label, and we’re really grateful for their help. It’s a turning point for our band. Shortly after the album was recorded, the pandemic hit and our former bandmate Tyson Moore left the band. We were always really proud of the record, and the rest of us decided to keep going. Fortunately, we were able to find a label we admire help us with the record, and we’re stoked to still have a band.
What’s your favorite tune of yours?
Rolling Stones “Moonlight Mile”
The Sundays “Here’s Where the Story Ends”
Deerhunter “Helicopter”
Aretha Franklin “I Never Loved a Man (The Way I Loved You)”
My Bloody Valentine “Sometimes”
# Here the text breaks off for data records
┌──
# 1
Entry from the Open Molecules 2025 dataset: the molecule C6H8O2 (the ωB97M-V functional and the def2-TZVPD basis).

The calculation puts the relative energy (zero: lowest compared OMol25 entry of this formula, charge and spin) at 65.66 kcal/mol. The SMILES is C1=C\O/C=C\COC/1. Its lowest unoccupied orbital energy is 0.0381 hartree. As for the total charge: 0. Its total energy is -383.80548 hartree.

Each atom is followed by the atoms it is bonded to, with distances in Å.
Atoms and positions in Å:
1 C 0.99895 -1.40844 -0.32756  C2 1.316, C8 1.489, H9 1.107
2 C 1.81109 -0.38075 -0.20124  C1 1.316, O3 1.389, H10 1.121
3 O 1.45107 0.65368 0.65314  C2 1.389, C4 1.384
4 C 0.69450 1.59520 -0.02234  O3 1.384, C5 1.323, H11 1.073
5 C -0.59957 1.52572 -0.28617  C4 1.323, C6 1.548, H12 1.090
6 C -1.64720 0.46218 0.12354  C5 1.548, O7 1.386, H13 1.111, H14 1.072
7 O -1.39236 -0.85410 -0.22640  C6 1.386, C8 1.438
8 C -0.29659 -1.54849 0.39355  C1 1.489, O7 1.438, H15 1.117, H16 1.084
9 H 1.26301 -2.17413 -1.08202  C1 1.107
10 H 2.82502 -0.28114 -0.66937  C2 1.121
11 H 1.22800 2.46992 -0.34056  C4 1.073
12 H -0.97156 2.50912 -0.57387  C5 1.090
13 H -2.59790 0.68136 -0.40881  C6 1.111
14 H -1.88899 0.57165 1.16214  C6 1.072
15 H -0.26526 -1.23758 1.46623  C8 1.117
16 H -0.61222 -2.58421 0.33973  C8 1.084

***

# 2
Entry from the Open Molecules 2025 dataset: the molecule C16H25N3O3 (the ωB97M-V functional and the def2-TZVPD basis).

The calculation puts the relative energy (zero: lowest compared OMol25 entry of this formula, charge and spin) at 174.52 kcal/mol. The SMILES is CCOc1ccccc1/N=C(\C[N+](=O)[O-])N[C@@H](C)C(C)(C)C. Its lowest unoccupied orbital energy is -0.0154 hartree. As for the total charge: 0. Its total energy is -1014.45913 hartree.

Each atom is followed by the atoms it is bonded to, with distances in Å.
Atoms and positions in Å:
1 C -2.44593 -3.98117 0.65687  C2 1.517, H23 1.036, H24 1.093, H25 1.081
2 C -1.42544 -3.64971 -0.41621  C1 1.517, O3 1.433, H26 1.062, H27 1.124
3 O -1.26191 -2.26371 -0.74067  C2 1.433, C4 1.369
4 C -2.28733 -1.41904 -1.07184  O3 1.369, C5 1.427, C9 1.394
5 C -3.29482 -1.85629 -1.98370  C4 1.427, C6 1.430, H28 1.088
6 C -4.26232 -0.94056 -2.50459  C5 1.430, C7 1.418, H29 1.103
7 C -4.18891 0.41746 -2.10496  C6 1.418, C8 1.392, H30 1.115
8 C -3.12823 0.84817 -1.31359  C7 1.392, C9 1.412, H31 1.158
9 C -2.15886 -0.05353 -0.82298  C4 1.394, C8 1.412, N10 1.420
10 N -0.96369 0.56059 -0.36233  C9 1.420, C11 1.301
11 C -0.37418 0.28110 0.76285  N10 1.301, C12 1.583, N16 1.430
12 C -1.06229 -0.65634 1.83712  C11 1.583, N13 1.486, H32 1.097, H33 1.013
13 N -0.27497 -0.97900 3.05544  C12 1.486, O14 1.297, O15 1.218
14 O 0.18127 -2.18915 3.15071  N13 1.297
15 O -0.16409 -0.10191 3.89319  N13 1.218
16 N 0.82109 1.03860 0.96570  C11 1.430, C17 1.479, H34 1.053
17 C 1.47224 1.88164 -0.06032  N16 1.479, C18 1.482, C19 1.599, H35 1.116
18 C 1.08735 3.26089 0.32342  C17 1.482, H36 1.046, H37 1.041, H38 1.105
└──
Iggy Pop “Nightclubbing”
Tom Petty “Something in the Air”
Beach House “Silver Soul”

Where are some things you really want to accomplish as an artist?
For the given moment I’m just proud that Josh Wehle, Paul Lizarraga, and myself ended up sticking together, and that our album is seeing the light of day. Our album release show is October 18that a venue called TV Eye in Bushwick. We were never able to play a proper album release show for our first record, so I want to celebrate what we accomplished. Making it through the pandemic together, and the opportunity to perform the songs live.